5 ways to better communication
barb crosses her arms and raises her voice, “you never take out the trash!”
harry sighs and says, “i really should stop worrying about this.”
raj keeps on playing his computer game and grunts, “sure!”
what do these three have in common?
barb, harry and raj find themselves in an uncomfortable situation, and they use
ways of coping that are familiar and comfortable for them. they use words and
body language that have always worked – or so it seems.
words like never, always, should, have to are often signs that we are using these
coping methods. behaviours like arm crossing, sticking your hands in your pants
pockets, sighing, nervous laughing, or just not paying attention can be used to
the same purpose.
the question is, how well do these ways of communicating work?
let’s take barb as an example. what does she really want? on the obvious level,
she wants the trash taken out. on a not-so-obvious level, maybe she feels that
the other person is not pulling their weight. maybe she feels overwhelmed.
maybe she just needs more support.
so it looks like barb wants one thing but is saying another.
what prevents barb from being open and honest and saying something like,
“please take out the trash, and please make sure that you remember it next time.
i really think i’ve done my part. i just feel quite overwhelmed right now”?
in a lot of situations, it’s fear that prevents us from communicating clearly,
respectfully and honestly. fear is also what makes barb protect herself by
crossing her arms – she protects her heart area, both literally and figuratively.
often, the reason for the fear is a long time in the past. maybe barb grew up in a
family where clarity, respect and honesty were punished by ridicule or hostility.
let’s assume that barb wants to communicate better. that she wants to be free
from falling into old patterns.
what can she do?
the neat thing, as a friend of mine recently pointed out, is that we can all use
these very communication patterns to help us grow out of them.
here is something you can do:
[Misplaced molecular data]
~~~
C4H5N3 | ωB97M-V/def2-TZVPD

## Properties
**Total charge**: 0
**HOMO-LUMO gap**: 8.614 eV
**Strongest force on any atom**: 1.0 eV/A
**Relative energy (zero: lowest compared OMol25 entry of this formula, charge and spin)**: 88.0 kcal per mole

Element x y z (Å)
N: -0.421 -1.127 -1.494
C: 0.146 -0.189 -0.699
N: -0.178 1.191 -0.994
C: -0.524 1.431 0.224
C: -0.242 0.253 1.067
C: 1.157 -0.217 1.005
N: 1.486 -0.451 -0.218
H: -0.214 -2.094 -1.294
H: -1.346 -0.927 -1.846
H: -0.974 2.374 0.538
H: -0.847 0.054 1.954
H: 1.841 -0.372 1.841

***

C4H5N3 | ωB97M-V/def2-TZVPD

## Properties
**Total charge**: 0
**SMILES**: C1=C=NC=NC=1.N
**HOMO-LUMO gap**: 8.777 eV
**Strongest force on any atom**: 2.2 eV/A
**Relative energy (zero: lowest compared OMol25 entry of this formula, charge and spin)**: 109.9 kcal per mole

Element x y z (Å)
C: 0.063 -0.662 0.525
C: -0.997 -1.184 0.968
N: -2.259 -1.089 0.994
C: -2.522 0.023 0.222
N: -1.622 0.774 -0.379
C: -0.326 0.459 -0.248
H: -3.562 0.288 0.113
H: 0.403 1.086 -0.753
N: 2.639 0.117 -0.347
H: 2.970 -0.216 -1.230
H: 3.017 1.057 -0.185
H: 2.218 -0.613 0.276

***

C4H5N3 | ωB97M-V/def2-TZVPD

## Properties
**Total charge**: 0
**SMILES**: Nc1ncccn1
**HOMO-LUMO gap**: 9.758 eV
**Strongest force on any atom**: 0.9 eV/A
**Relative energy (zero: lowest compared OMol25 entry of this formula, charge and spin)**: 9.6 kcal per mole

Element x y z (Å)
N: 2.241 -0.266 -0.421
C: 0.928 -0.115 -0.084
N: 0.214 -1.209 0.197
C: -1.092 -1.018 0.337
C: -1.721 0.162 -0.054
C: -0.855 1.250 -0.092
N: 0.467 1.142 -0.011
H: 2.826 0.510 -0.151
H: 2.623 -1.194 -0.318
H: -1.596 -1.773 0.933
H: -2.790 0.246 -0.223
H: -1.248 2.265 -0.113

***

C4H5N3O | ωB97M-V/def2-TZVPD

## Properties
**Total charge**: 0
**HOMO-LUMO gap**: 8.296 eV
**Strongest force on any atom**: 11.1 eV/A
**Relative energy (zero: lowest compared OMol25 entry of this formula, charge and spin)**: 142.4 kcal per mole

Element x y z (Å)
C: -0.919 1.397 0.282
C: 0.781 -0.123 -0.124
C: -0.100 -1.211 0.056
C: -1.438 -1.008 -0.076
H: -1.072 2.641 0.236
H: -1.735 0.734 -0.590
H: -1.368 1.202 1.180
H: 2.687 0.331 -0.493
H: 2.784 -1.150 -0.025
N: 0.543 1.089 0.208
N: 2.100 -0.550 -0.659
N: -2.517 -1.022 -0.650
O: 0.254 -2.329 0.655

***

C4H5N3O | ωB97M-V/def2-TZVPD

## Properties
**Total charge**: 0
**SMILES**: C=N/N=C1\CC=NO1
**HOMO-LUMO gap**: 9.472 eV
**Strongest force on any atom**: 3.9 eV/A
**Relative energy (zero: lowest compared OMol25 entry of this formula, charge and spin)**: 105.6 kcal per mole

Element x y z (Å)
C: -2.996 -0.312 -0.039
N: -1.775 0.048 0.079
N: -0.812 -0.939 0.104
C: 0.370 -0.530 -0.039
C: 1.053 0.769 0.034
C: 2.471 0.349 -0.074
N: 2.620 -0.931 0.022
O: 1.304 -1.488 0.017
H: -3.836 0.396 0.009
H: -3.376 -1.283 -0.306
H: 0.816 1.504 -0.845
H: 0.880 1.396 0.956
H: 3.283 1.021 0.084

***

C4H5N3O | ωB97M-V/def2-TZVPD

## Properties
**Total charge**: 0
**SMILES**: C/C=N\C#N.N=C=O
**HOMO-LUMO gap**: 10.283 eV
**Strongest force on any atom**: 4.4 eV/A
~~~
1. take a moment to reflect on this: are there any phrases or types of body
language that feel familiar – but just a little yucky?
2. pay attention to when you use these ways of communicating
3. once you’re able to notice this communication style, observe how you feel
and what you think
4. ask yourself: “what is underneath all this?”
5. experiment with alternate ways of expressing yourself. for example, raj could
look up from his computer game and truly pay attention to the person who is
talking to him.
what are your “yucky” communication styles? are you ready to change them?